Page 67 of Brady

“She’s going to try and guilt me into agreeing to the several hundred people she’s going to need to invite. We could elope.” She added hopefully.

“Your Mom scares me and my Dad would never forgive me.”

She hissed out a breath. “We have to put our foot down. It’s our wedding.”

“We will. You don’t have to do anything.”

“I want to have a say in some of it. Do you need like a best man or anything like that?”

“No. I just need you.”

“That’s sweet. This ring is perfect.” He’d given her a simple, yet exquisite, ruby and pearl ring that she really loved. “You know me.”

“As a matter of fact, I do.”

[Unrelated to this piece: materials data]
<<<
Entry 1:
Computed X-ray diffraction stick pattern
Compound: BaSrI
Radiation: a wavelength of 1.5418 Å
Structure: a crystal structure in Alexandria, relaxed with GGA-PBE
Neutral-atom scattering factors, no anomalous dispersion.

```
BaSrI
1.0
4.467 0.000 0.000
-2.234 3.869 0.000
0.000 0.000 8.565
Ba Sr I
1 1 1
Direct
0.000 0.000 0.000
0.333 0.667 0.595
0.667 0.333 0.305
```

Main lines, in order of rising 2θ (10 to 80 degrees two-theta):
25.26 deg, intensity 100
31.15 deg, intensity 58
31.33 deg, intensity 15
40.38 deg, intensity 29
48.23 deg, intensity 17
51.98 deg, intensity 21

=====

Entry 2:
Computed X-ray diffraction stick pattern
Compound: Ba4Sr6I19
Radiation: a wavelength of 1.5418 Å
Structure: a crystal structure in Alexandria, relaxed with GGA-PBE
Neutral-atom scattering factors, no anomalous dispersion.

```
Ba4Sr6I19
1.0
-7.164 7.164 7.164
7.164 -7.164 7.164
7.164 7.164 -7.164
Ba Sr I
4 6 19
Direct
0.000 0.000 0.286
0.000 0.286 0.000
0.286 0.000 0.000
0.714 0.714 0.714
0.155 0.500 0.655
0.345 0.845 0.500
0.500 0.345 0.845
0.500 0.655 0.155
0.655 0.155 0.500
0.845 0.500 0.345
0.000 0.000 0.000
0.000 0.315 0.315
0.000 0.685 0.685
0.040 0.789 0.399
0.211 0.251 0.610
0.251 0.610 0.211
0.315 0.000 0.315
0.315 0.315 0.000
0.359 0.749 0.960
0.390 0.641 0.601
0.399 0.040 0.789
0.601 0.390 0.641
0.610 0.211 0.251
0.641 0.601 0.390
0.685 0.000 0.685
0.685 0.685 0.000
0.749 0.960 0.359
0.789 0.399 0.040
0.960 0.359 0.749
```

Main lines, in order of rising 2θ (10 to 80 degrees two-theta):
15.15 deg, intensity 36
21.48 deg, intensity 28
26.39 deg, intensity 100
31.85 deg, intensity 63
34.28 deg, intensity 32
50.13 deg, intensity 26

=====

Entry 3:
Computed X-ray diffraction stick pattern
Compound: BaSr2I6
Radiation: a wavelength of 1.5418 Å
Structure: a crystal structure in Alexandria, relaxed with GGA-PBE
Neutral-atom scattering factors, no anomalous dispersion.

```
BaSr2I6
1.0
14.586 0.000 0.000
-7.293 12.632 0.000
0.000 0.000 7.411
Ba Sr I
3 6 18
Direct
0.000 0.000 0.000
0.333 0.667 0.499
0.667 0.333 0.501
0.000 0.317 0.500
0.000 0.652 0.000
0.317 0.000 0.500
0.348 0.348 0.000
0.652 0.000 0.000
0.683 0.683 0.500
0.101 0.870 0.749
0.103 0.536 0.751
0.130 0.231 0.749
0.216 0.436 0.245
0.221 0.784 0.245
0.231 0.130 0.251
0.433 0.897 0.751
0.436 0.216 0.755
0.464 0.567 0.751
0.536 0.103 0.249
0.564 0.779 0.245
0.567 0.464 0.249
0.769 0.899 0.749
0.779 0.564 0.755
0.784 0.221 0.755
0.870 0.101 0.251
0.897 0.433 0.249
0.899 0.769 0.251
```

Main lines, in order of rising 2θ (10 to 80 degrees two-theta):
24.31 deg, intensity 100
32.18 deg, intensity 53
36.98 deg, intensity 39
42.42 deg, intensity 22
44.75 deg, intensity 16
63.09 deg, intensity 16

=====

Entry 4:
Computed X-ray diffraction stick pattern
Compound: Ba9Te2I14
Radiation: a wavelength of 1.5418 Å
Structure: a crystal structure in Alexandria, relaxed with GGA-PBE
Neutral-atom scattering factors, no anomalous dispersion.

```
Ba9Te2I14
1.0
10.266 0.000 0.000
-5.133 8.890 0.000
>>>
[The materials data stop here]

They’d celebrated their official engagement by making love by the fire in the living room. The excitement had started. They were throwing an official engagement party which Michelle insisted on arranging the entire thing. An announcement was sent to the papers and now they had invitations piling up.

“You need to get yourself an assistant.” He advised her.

“I don’t want people in my space, but I might have to think about it.”

“You’re nervous.” He watched in amusement as she circled the table again and rearranged the cutlery. She‘d instructed Mrs. Bailey to set the table in the kitchen instead of the dining room.

“I want him to be comfortable and not overwhelmed. This place is already overwhelming as it is.” She bit her lip and stopped herself from rearranging the place settings again. “You were right.”

“About what?” Moving forward, he captured her hands and pulled her away from the table.

“I shouldn’t have invited him. What the hell was I thinking?”

“You wanted to reach out to a friend.” He captured her face between his palms. “Stop worrying. The guy is going to adjust.”

“His name is Todd.”

“I intend to call him by his name- what’s his surname?”

She furrowed her brow as she thought about it. “Oh, Lord, I’ve known him for years and I don’t know his last name. What kind of friend am I?”

“Stop.” His authoritative tone had her staring at him. “You’re making yourself crazy over nothing.”

“I want to pee.”


“The baby is pressing down on my bladder. Now I want to pee and he’s due here-“ They both went still as the bell sounded.

“I’m sorry.”

“Macayla- “

“I have to pee really bad.” With a regretful smile, she dashed out of the room, leaving him with the unwelcome task of greeting a perfect stranger. Love makes one do silly things and put up with a lot.

Brushing his hand over his hair, he strode towards the door. Checking the security mirror to make certain, he punched in the code and pulled the door open. Brady was six foot three, but the guy topped him by at least a foot and his head was completely bald.

“Ah, please come in.” Stepping back, he allowed him to step inside.

Shrugging out of his jacket, Todd looked around as if searching for where to put it.

“I'll take that. I’m Brady Randall by the way.”